6 Archived posts matching:"”

********
Entry 1:
For Pa2Si2Mo2C, a crystal structure in Alexandria, relaxed with GGA-PBE gives the theoretical PXRD pattern in this record (copper Kα).
Kinematic intensities with the Lorentz-polarization factor, no thermal factor.

Principal peaks in the range 2θ from 10° to 80°, in order of rising 2θ:
2θ = 24.75°, rel. 50, (1 1 0); 2θ = 25.71°, rel. 29, (2 0 -2); 2θ = 31.61°, rel. 46, (2 0 1); 2θ = 32.35°, rel. 21, (1 1 1); 2θ = 33.30°, rel. 33, (4 0 -1); 2θ = 33.46°, rel. 88, (3 1 -1); 2θ = 35.47°, rel. 100, (1 1 -2); 2θ = 40.99°, rel. 26, (4 0 -3); 2θ = 46.28°, rel. 27, (0 2 0); 2θ = 47.57°, rel. 22, (3 1 1); 2θ = 51.26°, rel. 17, (5 1 -3); 2θ = 57.13°, rel. 18, (2 2 1)

Unit cell a=11.013 b=3.923 c=6.947 alpha=90.00 beta=125.03 gamma=90.00
Sites, in units of the cell vectors:
Pa: 0.074 0.000 0.297
Pa: 0.426 0.500 0.703
Pa: 0.574 0.500 0.297
Pa: 0.926 0.000 0.703
Si: 0.132 0.500 0.658
Si: 0.368 0.000 0.342
Si: 0.632 0.000 0.658
Si: 0.868 0.500 0.342
Mo: 0.211 0.500 0.092
Mo: 0.289 0.000 0.908
Mo: 0.711 0.000 0.092
Mo: 0.789 0.500 0.908
C: 0.000 0.500 0.000
C: 0.500 0.000 0.000



Entry 2:
For ScCu2C2, a crystal structure in Alexandria, relaxed with GGA-PBE gives the theoretical PXRD pattern in this record (copper Kα).
Kinematic intensities with the Lorentz-polarization factor, no thermal factor.

Principal peaks in the range 2θ from 10° to 80°, in order of rising 2θ:
2θ = 20.66°, rel. 30, (0 0 2); 2θ = 28.05°, rel. 6, (1 0 1); 2θ = 37.13°, rel. 11, (1 1 0); 2θ = 41.07°, rel. 6, (1 0 3); 2θ = 42.04°, rel. 21, (0 0 4); 2θ = 42.87°, rel. 100, (1 1 2); 2θ = 53.53°, rel. 27, (2 0 0); 2θ = 57.32°, rel. 12, (1 1 4); 2θ = 57.98°, rel. 8, (2 0 2); 2θ = 70.29°, rel. 17, (2 0 4); 2θ = 77.39°, rel. 11, (1 1 6); 2θ = 79.11°, rel. 8, (2 2 0)

Unit cell a=3.424 b=3.424 c=8.598 alpha=90.00 beta=90.00 gamma=90.00
Sites, in units of the cell vectors:
Sc: 0.000 0.000 0.000
Sc: 0.500 0.500 0.500
Cu: 0.000 0.500 0.250
Cu: 0.000 0.500 0.750
Cu: 0.500 0.000 0.250
Cu: 0.500 0.000 0.750
C: 0.000 0.000 0.414
C: 0.000 0.000 0.586
C: 0.500 0.500 0.086
C: 0.500 0.500 0.914



> Which formula does entry 2 have?

ScCu2C2


Simulated powder diffraction line list
Compound: PmPH2Ru2
Radiation: Cu Kα (weighted mean of Kα1 and Kα2)
Structure: a GGA-PBE-relaxed structure
Lines closer than 0.1° are merged.

Crystal structure
```
12
Lattice="2.821 -5.068 0.000 2.821 5.068 0.000 0.000 0.000 5.659" Properties=species:S:1:pos:R:3 pbc="T T T"
Pm 2.821 2.605 4.244
Pm 2.821 -2.605 1.415
P 2.821 3.928 1.415
P 2.821 -3.928 4.244
H 1.870 1.011 1.415
H 1.870 -1.011 4.244
H 3.772 1.011 1.415
H 3.772 -1.011 4.244
Ru 1.492 0.000 0.000
Ru 1.492 0.000 2.829
Ru 4.150 0.000 0.000
Ru 4.150 0.000 2.829
```

Most intense lines, 2θ from 10° to 90°, in order of rising 2θ:
********

  • employee at work

    How Companies Can Support Employee Mental Health

    Employee mental health matters. Even in the best of times, people can struggle with their mental health. Over the course of the last year, we have all been dealing with stressors none of us could have dreamed of even 18 months ago. This is why it is no surprise that more people than ever are […]

    • Featured
    • May 7, 2021
    • Tim Crean
  • man writing on white board

    What the Pandemic Has Taught Us As Leaders

    The pandemic has affected every organization in its own unique way. Even within the CPG industry, some companies have suffered immensely, others have flourished, and many are somewhere in between. No matter where you and your organization fall on this spectrum, the universal truth is that it has been immensely challenging for everyone. Business leaders […]

    • ForceBrands
    • March 29, 2021
    • Tim Crean
  • woman putting laptop in bag

    How Leadership Should Prepare to Return to the Office

    We are now marking 365 days of conference calls, Zoom meetings, and homemade lunches. For some, it has been a dream come true. No long commutes, no annoying office-mates, and no formal work attire. For others, no in-person feedback, no downtime to chat with coworkers, and no separation between home and office have made the […]

    • ForceBrands
    • March 12, 2021
    • Tim Crean
  • man at computer working

    How to Actively Engage Employees Amid COVID Burnout

    It was March of 2020 when the United States shut down due to the growing outbreak of COVID-19. As we enter March of 2021 and get set to mark the one-year anniversary of pandemic life, COVID burnout at work is a real issue. For employees who have been working (and parenting and teaching and socializing) […]

    • ForceBrands
    • March 1, 2021
    • Tim Crean
  • man at office door

    How Employee Retention Has Changed Amid COVID

    Free lunches at the office. A complimentary gym membership. After-work happy hours at your team’s favorite local pub. These types of perks, offered by companies in the name of corporate culture and employee retention, now seem like relics of a bygone era in 2021. The COVID-19 pandemic that dominated 2020 has fundamentally reshaped the way […]

    • ForceBrands
    • January 27, 2021
    • Tim Crean
  • office

    How to Sustain Diversity Hiring Throughout the Year

    Diversity hiring is (and should be) important to companies in the CPG space. Many companies talk about it and many even put plans into action to get the process started. The problem becomes, these programs often fail to produce the long-term results that were intended. Like so many New Year’s resolutions, diversity hiring starts with […]

    • ForceBrands
    • January 20, 2021
    • Tim Crean